Interprofessional Perspectives for Pelvic Health Conditions

Interprofessional Perspectives for Pelvic Health Conditions
This course includes
The instructors
Interprofessional Perspectives for Pelvic Health Conditions
Course Description:
This presentation aims to highlight current pre-licensure healthcare student perspectives on conservative care management for pelvic floor disorders, identify current university pre-licensure healthcare educational approaches to pelvic floor disorders as they relate to current evidence, and discuss interprofessional educational opportunities to further physiotherapy engagement in interprofessional dynamics as it relates to pelvic floor disorders.
Speaker Bio:
Speakers: Grecia Alaniz
Grecia is a Registered Physiotherapist currently practicing in Chatham, Ontario. She completed her Bachelors of Science (Kinesiology) in 2015 and her Masters of Science in Physiotherapy in 2017 from McMaster University. Grecia's clinical interests focus on pelvic health, prenatal and postpartum care, and persistent pain conditions. She recently became an entrepreneur as the founder and owner of Radius Health Clinic. Grecia previously served as a Co-Research Supervisor for McMaster University's Physiotherapy Program. Her current research interests include interprofessional education and collaboration dynamics in relation to conservative care for pelvic floor dysfunction to enhance care provision.
You can find the full Virtual Summit Webinar Series Schedule here
You can find out more information on the CPA Virtual Summit here
Perspectives professionnelles pour les affections pelviennes
Conférenciers: Grecia Alaniz
Description de la séance:
Cette présentation vise à présenter les perspectives actuelles des étudiants en soins de santé avant l’obtention de leur permis d’exercer sur la gestion conservatrice des soins pour les troubles du plancher pelvien en ce qui concerne les données probantes actuelles et à discuter des possibilités d’enseignement interprofessionnel pour que les physiothérapeutes s’engagent davantage dans la dynamique interprofessionnelle en ce qui concerne les troubles du plancher pelvien.
The Canadian Physiotherapy Association (CPA) is hosting its first-ever Virtual Summit on Nov 20-21, 2020. This summit will bring together the physiotherapy community to build connections and to look toward the future of the profession.
Leading up to the CPA Virtual Summit, we will be running the Virtual Summit Series - a series of live online webinars that will cover a variety of topics and areas of interest. This entire series is free for CPA Members!
Registration for the CPA Virtual Summit Series is FREE for CPA Members, $20 for non-CPA members. Register directly on this webinar page!
Please note: In order to register for free as a CPA Member, you must have authenticated yourself as a CPA Member on Embodia (this is how Embodia knows you are a CPA Member!) Once you have followed the steps below, you will see FREE registration for the entire CPA Virtual Summit Series on Embodia.
- Click here to login to the CPA website
- Once you’ve logged in, go to the tab at the top called 'Events & Education', then click on PD Marketplace
- Click on the link above the video that says 'Access the PD Markeplace Now!'
The instructors

Material included in this course
Interprofessional Perspectives for Pelvic Health Conditions
15
Properties=species:S:1:pos:R:3 method="wB97M-V/def2-TZVPD" de_lowest_kcal_mol=0.00 gap_ev=8.86 spin_multiplicity=1 total_charge=0
Tl 0.592 0.692 -1.209
O 1.046 1.811 0.839
S 2.646 1.702 0.872
O 2.831 0.826 -0.327
O 3.001 1.141 2.177
C 4.070 2.867 0.570
F 3.778 3.669 -0.445
F 4.356 3.581 1.649
F 5.166 2.182 0.260
H 0.549 3.049 1.892
O 1.305 3.948 2.159
C 0.767 5.045 1.436
H 0.942 4.923 0.354
H -0.331 5.030 1.515
H 1.227 5.957 1.838

* * * * *

Entry 1:
This record from the Open Molecules 2025 dataset describes a 11-piece molecular cluster, C46H66N11O2 overall. The level of theory is ωB97M-V/def2-TZVPD.

## Properties
Orbital gap, eV: 8.694
Energy above the lowest of the compared OMol25 structures with the same formula, charge and spin, kcal per mole: 31.8
E, eV: -69234.3803
Molecular weight, g mol⁻¹: 805.1

```
! RIJCOSX wB97M-V def2-TZVPD def2/J DEFGRID3
* xyz 1 1
N -56.9297 -8.1430 56.4127
N -50.8873 1.4280 53.1257
H -53.9185 2.5362 55.9812
H -56.9369 -2.6079 54.4121
C -57.5647 -8.4933 63.6061
H -54.5953 -5.9828 55.7057
C -56.9690 -1.5995 61.8210
H -55.1553 -3.0307 47.4848
H -56.9091 -5.4805 61.9819
H -57.7972 -2.4155 62.2066
C -52.5586 -7.9447 56.7559
H -57.2860 -7.8727 64.1879
N -57.1230 -9.8549 63.6003
C -57.9004 -7.3316 57.0284
H -49.3063 -6.6389 53.3129
C -51.6691 -4.4639 54.0675
H -53.4874 -4.0994 49.2714
H -56.0586 1.4034 60.9017
C -54.7166 -2.7748 50.6505
H -48.9539 -5.4109 55.4206
C -56.1381 0.4254 61.2462
H -58.7205 -10.1804 60.8739
H -55.2153 -2.6384 61.8222
N -57.4958 -2.2882 59.0301
H -52.3842 -1.4228 56.1370
C -50.8539 -0.7930 53.3009
C -54.8732 -5.0536 59.0539
C -55.9142 -1.9191 50.2885
O -55.2336 -4.9508 61.3263
H -52.5254 -3.9644 54.1638
H -53.8770 -4.6102 59.1008
H -55.7238 -1.4539 55.4510
H -53.6266 -7.1301 53.8095
H -55.8677 -9.9259 56.8664
H -58.6520 -2.1858 56.0658
H -55.8151 -6.3742 57.7912
C -58.3781 -8.5063 62.5390
O -54.9921 -3.3850 55.0274
H -58.7006 -7.2886 59.0905
C -53.1071 -8.2718 57.8995
C -52.0444 1.0304 52.5639
H -55.2157 1.3570 57.7696
H -51.5964 -6.0761 52.3098
H -58.1604 -4.2438 59.9485
H -50.4182 -6.4706 58.6010
H -56.5331 -8.1339 55.3632
H -54.0490 -2.9480 51.5092
H -57.3611 -11.5881 62.4616
H -56.3791 -4.2954 56.3665
H -57.2473 -0.4997 57.6504
H -55.8315 -4.8138 63.1294
H -59.1099 -7.6237 62.2452
N -49.8342 -5.3438 54.9107
N -55.3382 -2.9813 48.5307
H -52.2426 0.6178 54.9189
C -52.1642 -0.3397 52.5785
C -51.4278 -6.7560 58.2431
N -54.9646 -5.8196 57.7086
H -57.8774 -6.7620 53.0717
H -53.5005 -4.8289 56.3886
C -55.4902 -8.5797 53.3241
C -57.6168 -10.6738 62.5136
C -55.0753 -0.4143 61.2722
C -55.9186 -5.5405 62.4245
C -56.7738 -8.3413 53.0151
H -49.0166 0.2967 53.7062
H -55.6088 -4.4096 59.2637
H -51.2450 -6.4889 56.0486
H -53.0007 -8.1865 55.8638
C -58.0039 -7.7910 58.3584
H -54.1593 -6.5480 57.9196
C -50.7751 -4.3973 55.1552
H -50.4263 2.2320 53.1461
C -51.2267 -5.6211 53.2459
H -50.6426 -3.8090 56.0749
N -51.6979 -6.9381 56.8836
N -57.2908 -0.2866 61.6661
C -56.4233 -2.2821 49.0933
The Study
Clinical Implications
Limitations and Conclusions